Wealth in Waste: India’s Potential to Bring Textile Waste Back Into The Supply Chain
## Records of crystals, as found in the file
=====
(1)
# Sc3TaOs4 (PBE, relaxed)
# Formation enthalpy at 0 K ... -0.45 eV/atom
# Theoretical density ... 13.559 g cm⁻³
data_Sc3TaOs4
_cell_length_a 3.198
_cell_length_b 4.545
_cell_length_c 9.073
_cell_angle_alpha 90.00
_cell_angle_beta 90.00
_cell_angle_gamma 90.00
_symmetry_space_group_name_H-M 'P 1'
_symmetry_Int_Tables_number 1
loop_
_symmetry_equiv_pos_as_xyz
'x,y,z'
loop_
_atom_site_label
_atom_site_type_symbol
_atom_site_fract_x
_atom_site_fract_y
_atom_site_fract_z
Sc1 Sc 0.000 0.000 0.000
Sc2 Sc 0.000 0.500 0.247
Sc3 Sc 0.000 0.500 0.753
Ta1 Ta 0.000 0.000 0.500
Os1 Os 0.500 0.000 0.261
Os2 Os 0.500 0.000 0.739
Os3 Os 0.500 0.500 0.000
Os4 Os 0.500 0.500 0.500

(2)
# ScTaOs4 (PBE, relaxed)
# Formation enthalpy at 0 K ... -0.14 eV/atom
# Theoretical density ... 16.633 g cm⁻³
data_ScTaOs4
_cell_length_a 5.184
_cell_length_b 5.184
_cell_length_c 5.184
_cell_angle_alpha 60.00
_cell_angle_beta 60.00
_cell_angle_gamma 60.00
_symmetry_space_group_name_H-M 'P 1'
_symmetry_Int_Tables_number 1
loop_
_symmetry_equiv_pos_as_xyz
'x,y,z'
loop_
_atom_site_label
_atom_site_type_symbol
_atom_site_fract_x
_atom_site_fract_y
_atom_site_fract_z
Sc1 Sc 0.000 0.000 0.000
Ta1 Ta 0.750 0.750 0.750
Os1 Os 0.375 0.375 0.375
Os2 Os 0.375 0.375 0.876
Os3 Os 0.375 0.876 0.375
Os4 Os 0.876 0.375 0.375

(3)
# ScTaOs2 (PBE, relaxed)
# Formation enthalpy at 0 K ... 0.26 eV/atom
# Theoretical density ... 15.052 g cm⁻³
# Energy relative to the lowest polymorph listed for this composition ... 0.793 eV/atom
data_ScTaOs2
_cell_length_a 3.127
_cell_length_b 4.681
_cell_length_c 9.140
_cell_angle_alpha 90.00
_cell_angle_beta 90.00
_cell_angle_gamma 90.00
_symmetry_space_group_name_H-M 'P 1'
_symmetry_Int_Tables_number 1
loop_
_symmetry_equiv_pos_as_xyz
'x,y,z'
loop_
_atom_site_label
_atom_site_type_symbol
_atom_site_fract_x
_atom_site_fract_y
_atom_site_fract_z
Sc1 Sc 0.000 0.000 0.000
Sc2 Sc 0.500 0.500 0.000
Ta1 Ta 0.000 0.500 0.715
Ta2 Ta 0.500 0.000 0.715
Os1 Os 0.000 0.000 0.479
Os2 Os 0.000 0.500 0.236
Os3 Os 0.500 0.000 0.236
Os4 Os 0.500 0.500 0.479

(4)
# Sc2TaOs (PBE, relaxed)
# Formation enthalpy at 0 K ... -0.17 eV/atom
# Theoretical density ... 10.365 g cm⁻³
# Energy relative to the lowest polymorph listed for this composition ... 0.053 eV/atom
data_Sc2TaOs
_cell_length_a 3.251
_cell_length_b 4.629
_cell_length_c 9.816
_cell_angle_alpha 90.00
_cell_angle_beta 90.00
_cell_angle_gamma 90.00
_symmetry_space_group_name_H-M 'P 1'
_symmetry_Int_Tables_number 1
loop_
_symmetry_equiv_pos_as_xyz
'x,y,z'
loop_
_atom_site_label
_atom_site_type_symbol
_atom_site_fract_x
_atom_site_fract_y
_atom_site_fract_z
Sc1 Sc 0.000 0.000 0.221
Sc2 Sc 0.000 0.000 0.779
Sc3 Sc 0.500 0.500 0.279
Sc4 Sc 0.500 0.500 0.721
Ta1 Ta 0.000 0.500 0.000
Ta2 Ta 0.500 0.000 0.500
Os1 Os 0.000 0.500 0.500
Os2 Os 0.500 0.000 0.000

(5)
# Sc2Ta2Os (PBE, relaxed)
# Formation enthalpy at 0 K ... 0.61 eV/atom
# Theoretical density ... 9.929 g cm⁻³
=====
## Here the article continues
The Untapped Potential of Textile Waste in India
Talks about the vibrancy of textile manufacturing and recycling industry in India and the untapped potential for circularity
India leads in both the production and consumption of textile and apparel. Availability of raw materials and skilled workforce makes it a significant contributor to both the domestic and global textile supply chain. Given this, India has a vast quantity of textile waste.
Between two parts of the entry: data records:
~~~
The following is a DFT calculation (PBE+U) of a relaxed structure of V2SbPbF.

Properties
The calculation puts the magnetic moment at 1.21 μB/atom.

Cell and atoms, written as POSCAR:
```
V2SbPbF
1.0
4.437 0.000 0.000
0.000 5.742 0.000
0.000 0.000 4.437
Pb Sb F V
1 1 1 2
direct
0.500 0.500 0.500 Pb
0.000 0.500 0.000 Sb
0.000 0.000 0.000 F
0.000 0.000 0.500 V
0.500 0.000 0.000 V
```


The following is a DFT calculation (PBE+U) of a relaxed structure of VSbPbF2.

Properties
The calculation puts the magnetic moment at 0.72 μB/atom.

Cell and atoms, written as POSCAR:
```
VSbPbF2
1.0
-2.694 -0.710 3.338
2.712 -5.820 0.950
2.889 1.789 2.712
Pb Sb F V
1 1 2 1
direct
0.000 0.500 0.000 Pb
0.000 0.000 0.000 Sb
0.000 0.000 0.500 F
0.500 0.000 0.000 F
0.500 0.500 0.500 V
```


| no. | raw total energy (eV per cell) |
| --- | --- |
| 1 | -24.17 |
| 2 | -21.89 |

----------

Entry 1:
Computed, not measured: a PBEsol-optimized structure of RbSrTlAg2 at the meta-GGA SCAN level of DFT.

calculated total energy: -1.3018 Ha/atom

a b c (Å): 5.470 5.470 6.017
angles (deg): 90.00 90.00 90.00
Fractional positions:
Rb: 0.000 0.000 0.000
Sr: 0.500 0.500 0.000
Tl: 0.500 0.500 0.500
Ag: 0.000 0.500 0.500
Ag: 0.500 0.000 0.500

Entry 2:
Computed, not measured: a PBEsol-optimized structure of KScW2O8 at the meta-GGA SCAN level of DFT.

formation energy without anion corrections: -2652 meV/atom

a b c (Å): 5.819 5.819 7.155
angles (deg): 90.00 90.00 120.00
Fractional positions:
K: 0.000 0.000 0.000
Sc: 0.000 0.000 0.500
W: 0.333 0.667 0.756
W: 0.667 0.333 0.244
O: 0.164 0.328 0.676
O: 0.164 0.836 0.676
O: 0.328 0.164 0.324
O: 0.333 0.667 0.001
O: 0.667 0.333 0.999
O: 0.672 0.836 0.676
O: 0.836 0.164 0.324
O: 0.836 0.672 0.324

Entry 3:
Computed, not measured: a PBEsol-optimized structure of TeHSeI2 at the meta-GGA SCAN level of DFT.

calculated total energy: -0.9600 Ha/atom

a b c (Å): 5.543 5.543 3.807
angles (deg): 90.00 90.00 90.00
Fractional positions:
Te: 0.000 0.000 0.000
H: 0.000 0.000 0.500
Se: 0.500 0.500 0.000
I: 0.000 0.500 0.500
I: 0.500 0.000 0.500

Entry 4:
Computed, not measured: a PBEsol-optimized structure of FeMoPtRh2 at the meta-GGA SCAN level of DFT.

calculated total energy: -1.3487 Ha/atom

a b c (Å): 4.523 4.523 4.275
angles (deg): 90.00 90.00 90.00
Fractional positions:
Fe: 0.000 0.000 0.000
Mo: 0.000 0.000 0.500
Pt: 0.500 0.500 0.000
Rh: 0.000 0.500 0.500
Rh: 0.500 0.000 0.500

Entry 5:
Computed, not measured: a PBEsol-optimized structure of CaZn at the meta-GGA SCAN level of DFT.

calculated total energy: -0.4347 Ha/atom

a b c (Å): 5.111 5.111 4.667
angles (deg): 90.00 90.00 120.00
Fractional positions:
Ca: 0.333 0.667 0.250
Ca: 0.667 0.333 0.750
Zn: 0.000 0.000 0.000
Zn: 0.000 0.000 0.500

Entry 6:
Computed, not measured: a PBEsol-optimized structure of K2SiW at the meta-GGA SCAN level of DFT.

formation energy without anion corrections: 1217 meV/atom

a b c (Å): 2.833 5.950 4.832
angles (deg): 90.00 95.56 90.00
Fractional positions:
~~~
From 2019-2020, the Indian Textile and Apparel industry was valued at USD 108.5 billion, forming 2% of total GDP, 12% of total exports, and 7% of industry output in value terms.10 11 The industry grew at a compound growth rate of 13.8% between 2010-2018, employing over 45 million individuals and nearly ~90 million in allied industries.12
The country is one of the largest producers of cotton, jute and silk and accounts for 25% of the global cotton production.13 With respect to production capacities, the Indian textile and apparel industry is able to conduct all activities ranging from spinning to apparel production. India also has the second-largest spinning capacity with 50 million spindles.14 Furthermore, the skilled workforce in the country has the capacity to work with diverse materials, both knit and woven fabrics apparel categories15 making India an important sourcing destination for global brands.16
Besides being a production hub, India is also a growing consumer of textile and apparel products with domestic consumption valued at USD 75 billion.17 This consumption is expected to increase as the economic growth brings 118 million additional households into the upper and upper-middle class between 2015 to 202518 in India. This consumption growth is also visible in the total expenditure of Indians on clothes, which increased from USD 24.65 billion (INR 1,924 billion) in 2010 to USD 69.3 billion (INR 5,408 billion) in 2018.19 An increase in disposable incomes and changes in consumption pattern among Indians has led to a boom in the retail sector in the country.
Indian production and consumption growth patterns are also aligned with the global trends, with garment production doubling between 2000-2014 and per capita garment purchases increasing by 60%.20 The growth in production and consumption is, however, leading to an increase in the quantity of textile waste generated. With India being one of the largest importers of textile waste, both domestic and global textile waste presents many challenges and opportunities.
Textile waste in India arises primarily in three waste generation streams: (1) pre-consumer, i.e. waste generated before the finished products reach the consumers and includes waste types such as spinning waste, fabric trimmings/cuttings, fabric deadstock, and unsold garment inventory; (2) domestic post-consumer, i.e. garments/ textiles discarded by domestic consumers; and (3) imported waste stream, which includes second-hand clothing and mutilated rags imported to India.
India’s decades-old culture and history of reusing, remaking and redesigning garments has enabled informal trade routes for textile waste and infrastructure to process it.
Indigenous communities in different parts of the country, especially in Jammu and Kashmir, Gujarat, and Rajasthan have been involved in traditional and cultural practices to preserve and reuse old textile for decades.21 With the emergence of recycling processes and synthetic fibres, these conventional and cultural practices were replaced by machine-based recycling. Since the 1980s, Panipat, a town in the Haryana state, flourished to become the largest textile recycling hub in India.22 Consequently, newer and more efficient recycling hubs like Tirupur have also emerged with significant potential. These hubs work with different types of wastes from various sources to meet domestic and international demand for recycled products, while continuously finding various reuse and downcycling use cases.23
While India possesses a huge mechanical recycling infrastructure and potential, the country has not been able to establish complete circularity of textile wastes.24 This is largely due to the lack of visibility and understanding of the underlying potential of this industry. To date, the value chain managing it remains largely unorganised, leading to leakage of waste at multiple levels. The industry functions with minimal support for technological advancement and process standardisation.25 Consequently, the yarn produced is lower in quality and is deemed unfit for global apparel manufacturing. This, coupled with the stiff competition from inexpensive synthetic fibres, is limiting the economic growth and viability of the recycling industry in India.
Illustration 7: Timeline of textile and textile waste management industry in India26 27 28 29 30 31
Record 1
Here is a relaxed Fe2ReMoH crystal from the Alexandria database. Energies are from GGA-PBE.

Computed properties:
- distance to the lowest polymorph of the same formula (eV per atom) = 0.000
- final energy (eV/atom) = -8.63
- density of states at the Fermi level (states/eV per cell) = 4.77
- total magnetic moment (μB/atom) = 0.00
- space-group type = P4/mmm

a = 3.7347 Å, b = 3.7347 Å, c = 3.8326 Å
α = 90.00°, β = 90.00°, γ = 90.00°
Sites, in units of the cell vectors:
Re1 0.5000 0.5000 0.5000
Fe1 0.5000 0.0000 0.0000
Mo1 0.0000 0.0000 0.5000
H1 0.0000 0.0000 0.0000
Fe2 0.0000 0.5000 0.0000


Record 2
Here is a relaxed FeRe2MoH crystal from the Alexandria database. Energies are from GGA-PBE.

Computed properties:
- final energy (eV/atom) = -9.38
- density of states at the Fermi level (states/eV per cell) = 4.01
- total magnetic moment (μB/atom) = 0.24
- space-group type = P4/mmm

a = 3.9472 Å, b = 3.9472 Å, c = 3.7848 Å
α = 90.00°, β = 90.00°, γ = 90.00°
Site moments in Bohr magnetons follow the coordinates.
Sites, in units of the cell vectors:
Mo1 0.5000 0.5000 0.5000  -0.13
H1 0.0000 0.0000 0.0000  -0.01
Re1 0.5000 0.0000 0.0000  -0.04
Re2 0.0000 0.5000 0.0000  -0.04
Fe1 0.0000 0.0000 0.5000  1.43


Record 3
Here is a relaxed Fe2ReMoH crystal from the Alexandria database. Energies are from GGA-PBE.

Computed properties:
- distance to the lowest polymorph of the same formula (eV per atom) = 0.018
- final energy (eV/atom) = -8.61
- density of states at the Fermi level (states/eV per cell) = 5.49
- total magnetic moment (μB/atom) = 0.01
- space-group type = P4/mmm

a = 3.7468 Å, b = 3.7468 Å, c = 3.8177 Å
α = 90.00°, β = 90.00°, γ = 90.00°
Sites, in units of the cell vectors:
Re1 0.0000 0.0000 0.5000
Fe1 0.5000 0.0000 0.0000
Fe2 0.0000 0.5000 0.0000
Mo1 0.5000 0.5000 0.5000
H1 0.0000 0.0000 0.0000


Record 4
Here is a relaxed Fe2MoHRu crystal from the Alexandria database. Energies are from GGA-PBE.

Computed properties:
- distance to the lowest polymorph of the same formula (eV per atom) = 0.032
- final energy (eV/atom) = -8.00
- density of states at the Fermi level (states/eV per cell) = 4.84
- total magnetic moment (μB/atom) = 0.00
- space-group type = P4/mmm

a = 3.6917 Å, b = 3.6917 Å, c = 3.8500 Å
α = 90.00°, β = 90.00°, γ = 90.00°
Sites, in units of the cell vectors:
Fe1 0.0000 0.5000 0.0000
Ru1 0.5000 0.5000 0.5000
Mo1 0.0000 0.0000 0.5000
Fe2 0.5000 0.0000 0.0000
H1 0.0000 0.0000 0.0000


Record 5
Here is a relaxed Fe2MoHRu crystal from the Alexandria database. Energies are from GGA-PBE.

Computed properties:
- distance to the lowest polymorph of the same formula (eV per atom) = 0.000
- final energy (eV/atom) = -8.03
- density of states at the Fermi level (states/eV per cell) = 4.42
- total magnetic moment (μB/atom) = 0.09
- space-group type = P4/mmm

a = 3.7273 Å, b = 3.7273 Å, c = 3.7679 Å
α = 90.00°, β = 90.00°, γ = 90.00°
Site moments in Bohr magnetons follow the coordinates.
Sites, in units of the cell vectors:
In recent years, the fashion industry has garnered attention due to sustainability concerns in the sector. With the ‘take-make-dispose’ model of the industry resulting in increased waste generation and the production and processing of (virgin) materials contributing to global GHG emission and high water consumption, the industry is taking active steps to close the loop and introduce as much of waste as possible back into the production process.32
‘Circularity in textile’ refers to systematically devising a regenerative system where textile is circulated until its maximum value is retained for as long as possible by reusing or recycling, while simultaneously minimising the production of waste at every stage to ensure social, economic, ecological, and environmental benefits as well as the well-being of those employed in the industry.39
The global movement towards circularity in textile waste can provide the Indian recycling industry with a unique opportunity to leverage and grow its existing capabilities to make it one of the largest circular textile regions.
India is one of the largest mechanical recycling hubs in the world, with over 900 recycling units40 and ~4 million informal workers processing textile waste.41 The country has expertise in sorting, using the right combination of colour and fibres to reach the desired quality, and identifying an economic value for non-recyclable waste. Further strengthening this infrastructure requires increased focus from brands, government, philanthropic investments, technological advancements and value chain formalisation to strengthen the recycling industry in India at a low economic cost.
India’s competitive advantage in textile waste
- The past decade has seen a huge growth in both production (CAGR 13.8% between 2010-2018) and consumption of textile and apparel products (national expenditure increased from USD 24.65 billion in 2010 to USD 69.3 billion in 2018) in India.
- India is one of the largest mechanical recycling hubs in the world, with over 900 recycling units and ~4 million informal workers processing textile waste. While India possesses a huge mechanical recycling infrastructure and potential, the country has not been able to establish the complete circularity of textile wastes.
- Over the years, the country has successfully built its expertise in manual sorting of waste, using the right combination of colour and fibres to reach the desired quality, operating the recycling machines and identifying an economic value for non-recyclable waste.
- With the organisation of the value chain and visibility on the journey of waste, India has the edge in deriving larger and consistent value out of the textile waste.